Thursday, November 12, 2009

Unrelated to this text: crystal structures:
Computed powder X-ray diffraction pattern of Ac4SnGe2 for Cu Ka, from a cell relaxed with PBE.
Intensities are scaled so that the largest is 100.

Largest 10 diffraction maxima, by angle, 15 to 90 degrees two-theta:
2theta  intensity
21.91  26.0
25.37  32.4
28.35  100.0
28.53  54.1
33.72  76.0
33.83  20.2
44.63  19.3
46.51  24.0
46.67  35.1
57.06  25.2

Structural model:
a b c (Å): 8.604 8.604 8.604
angles (deg): 109.28 109.28 109.86
Atoms (fractional coordinates):
Ac 0.000 0.385 0.256
Ac 0.130 0.744 0.744
Ac 0.135 0.250 0.756
Ac 0.256 0.000 0.385
Ac 0.494 0.380 0.244
Ac 0.615 0.870 0.615
Ac 0.620 0.865 0.115
Ac 0.750 0.506 0.885
Sn 0.000 0.000 0.000
Sn 0.750 0.250 0.500
Ge 0.250 0.625 0.125
Ge 0.375 0.500 0.625
Ge 0.500 0.125 0.875
Ge 0.875 0.750 0.375


so i finally did it. i have joined curves with a friend. yesterday we went in for our first official workout and to be measured and weighed. i did not like my numbers at all. i weighed in at 167 lbs. and my upper measurements are 39-34-36. all i could think when they were measuring me was, "i'm no scarlett o'hara." scarlett had the skinniest waist in three counties for all those who have not read the best book ever, gone with the wind. they asked what did i weigh at my thinnest-100 lbs (just 17 years ago) and what was my heaviest-this is the heaviest i have ever been. any who, the workout goes by so fast. i just wish i had a little more coordination when it came to working those machines. i used muscles yesterday that have been dormant for sometime. i felt really good when i got done. really energized! my plan is to go three times a week with chris. my goal is to lose seven pounds the first month. i wanted to say ten but i would rather shoot low and then surprise myself with losing more. one good thing about going to curves me and chris are considered to be one of the younger women going there. 37 is young...loving it!!
this has been a word from nicole

Sunday, November 8, 2009

it's that time of year....

i love christmas. i love the hussle and bussle of it all. i love seeing people with all their packages. i love thinking of creative gifts. i love the decorating. i love all the food. i love the christmas cards. i love giving baked goods to my neighbors. i love my christmas tree. i love christmas morning but i love christmas eve even more. but right now i am feeling a little down about christmas. last year i got my dad a branding iron. yes, a branding iron. i got it personalized with his initals TRH so he could brand all the meat he grills in the summer. tonight i find out he has yet to use it. here i thought i got this great, unique gift that he would laugh when he would use it. i knew he wouldn't use it everytime he grilled but for pete sake i thought he would use it at least once. i really put alot of thought into my gifts. i really think about each person and how i spent time with them through out the year. for example, my sister, got a pool for her kids this year. just one of those big infaltable pools and ethan spent alot of time in that pool. my sister said he even tried to surf with the cover of the turtle sandbox as his surfboard. remembering that story i found an underwater surfboard for him. i can so see him using this thing. hopefully, he will use it and not "tuck it away for memory sake."
in other christmas news i am thinking holly and i will get dresses for christmas eve mass this year. ususally we don't get super dressed up, it is just something we never did growing up, so i haven't done as an adult. but holly has expressed an interest in a christmas dress so i think i will take it up a natch and get a little dressy this year.
also, holly and i are starting a christmas village collection. we got our first piece yesterday at kohls-holly picked out the movie theather. i hope to have at least two other pieces before christmas. we are going to set it up downstairs in the basement on the glass table. i'll try to post pics once it is up.
this has been a word from nicole